**Activity:**
Start at the top of the entries further below and quote each line, ending with the one that has "0.6667 0.0000".
**File:**
┌──
Computed, not measured: an optimized crystal structure of VBiO4 at the PBE with a Hubbard U level of DFT.

* symmetry: I4_1/amd, No. 141
* total energy: -82.4 eV per cell
* ΔE_f: -2.151 eV per atom

a = 6.167 Å, b = 6.167 Å, c = 6.167 Å
α = 106.16°, β = 106.16°, γ = 116.31°
Fractional coordinates of all 12 atoms:
V  0.875  0.125  0.250
V  0.125  0.875  0.750
Bi  0.625  0.375  0.750
Bi  0.375  0.625  0.250
O  0.135  0.704  0.932
O  0.704  0.135  0.432
O  0.228  0.296  0.432
O  0.704  0.772  0.068
O  0.296  0.228  0.932
O  0.772  0.704  0.568
O  0.296  0.865  0.568
O  0.865  0.296  0.068

~~~~~

[1]
Computed, not measured: crystalline LiAgF4 at its relaxed geometry at the PBE level of DFT.

Cell lengths 7.8135, 5.2161, 7.7900 Å; angles 90.00, 102.59, 90.00 degrees
Space group P2_1/c (No. 14)
Symmetry-distinct sites (fractional):
Li: 0.1447 0.2451 0.3294 [4 per cell]
Ag: 0.3114 0.7452 0.1757 [4 per cell]
F: 0.0780 0.5734 0.6937 [4 per cell]
F: 0.1901 0.0878 0.5749 [4 per cell]
F: 0.3041 0.5783 0.4255 [4 per cell]
F: 0.4440 0.0587 0.3004 [4 per cell]

Output
The calculated formation energy is -185.2 kJ per mole of atoms.

[2]
Computed, not measured: crystalline SmB4Os4 at its relaxed geometry at the PBE level of DFT.

Cell lengths 7.5944, 7.5944, 4.0188 Å; angles 90.00, 90.00, 90.00 degrees
Space group P4_2/n (No. 86, origin choice 2)
Symmetry-distinct sites (fractional):
Sm: 0.2500 0.2500 0.2500 [2 per cell]
B: 0.0329 0.5850 0.1379 [8 per cell]
Os: 0.1040 0.8571 0.1369 [8 per cell]

Output
The calculated formation energy is -37.2 kJ per mole of atoms.

[3]
Computed, not measured: crystalline Gd2ZnGa at its relaxed geometry at the PBE level of DFT.

Cell lengths 7.2392, 7.2392, 7.2392 Å; angles 90.00, 90.00, 90.00 degrees
Space group Fm-3m (No. 225)
Symmetry-distinct sites (fractional):
Gd: 0.2500 0.2500 0.2500 [8 per cell]
Zn: 0.0000 0.0000 0.0000 [4 per cell]
Ga: 0.0000 0.0000 0.5000 [4 per cell]

Output
The calculated formation energy is -48.2 kJ per mole of atoms.

[4]
Computed, not measured: crystalline LiInSe2 at its relaxed geometry at the PBE level of DFT.

Cell lengths 6.0388, 6.0388, 11.9501 Å; angles 90.00, 90.00, 90.00 degrees
Space group I-42d (No. 122)
Symmetry-distinct sites (fractional):
Li: 0.0000 0.0000 0.0000 [4 per cell]
In: 0.0000 0.0000 0.5000 [4 per cell]
Se: 0.2427 0.7500 0.1250 [8 per cell]

Output
The calculated formation energy is -106.8 kJ per mole of atoms. The calculation puts the largest piezoelectric modulus at 0.1 C/m².

[5]
Computed, not measured: crystalline SmSi2Ru3 at its relaxed geometry at the PBE level of DFT.

Cell lengths 5.6191, 5.6191, 3.6178 Å; angles 90.00, 90.00, 120.00 degrees
Space group P6/mmm (No. 191)
Symmetry-distinct sites (fractional):
Sm: 0.0000 0.0000 0.0000 [1 per cell]
Si: 0.3333 0.6667 0.0000 [2 per cell]
Ru: 0.0000 0.5000 0.5000 [3 per cell]

Output
The calculated formation energy is -63.5 kJ per mole of atoms.

[6]
Computed, not measured: crystalline LiH2SNO3 at its relaxed geometry at the PBE level of DFT.

Cell lengths 16.9578, 5.1842, 8.6025 Å; angles 90.00, 90.00, 90.00 degrees
Space group Pca2_1 (No. 29)
Symmetry-distinct sites (fractional):
Li: 0.0971 0.0505 0.0000 [4 per cell]
Li: 0.1523 0.5414 0.1964 [4 per cell]
H: 0.0145 0.3608 0.2899 [4 per cell]
H: 0.1146 0.6130 0.6181 [4 per cell]
H: 0.1160 0.2992 0.6609 [4 per cell]
H: 0.2022 0.0142 0.4484 [4 per cell]
S: 0.0846 0.0148 0.3624 [4 per cell]
S: 0.1699 0.5499 0.8462 [4 per cell]
N: 0.1054 0.4818 0.7063 [4 per cell]
N: 0.1456 0.0023 0.4913 [4 per cell]
O: 0.0072 0.9355 0.4172 [4 per cell]
O: 0.0707 0.3240 0.3113 [4 per cell]
O: 0.1076 0.8967 0.2112 [4 per cell]
O: 0.1446 0.3940 0.9819 [4 per cell]
O: 0.1604 0.8258 0.8750 [4 per cell]
O: 0.2502 0.4802 0.2972 [4 per cell]

Output
The calculated formation energy is -129.6 kJ per mole of atoms.

Please write out number 4 again, unchanged.
Computed, not measured: crystalline LiInSe2 at its relaxed geometry at the PBE level of DFT.
└──
**Completed:**
Computed, not measured: an optimized crystal structure of VBiO4 at the PBE with a Hubbard U level of DFT.

* symmetry: I4_1/amd, No. 141
* total energy: -82.4 eV per cell
* ΔE_f: -2.151 eV per atom

a = 6.167 Å, b = 6.167 Å, c = 6.167 Å
α = 106.16°, β = 106.16°, γ = 116.31°
Fractional coordinates of all 12 atoms:
V  0.875  0.125  0.250
V  0.125  0.875  0.750
Bi  0.625  0.375  0.750
Bi  0.375  0.625  0.250
O  0.135  0.704  0.932
O  0.704  0.135  0.432
O  0.228  0.296  0.432
O  0.704  0.772  0.068
O  0.296  0.228  0.932
O  0.772  0.704  0.568
O  0.296  0.865  0.568
O  0.865  0.296  0.068

~~~~~

[1]
Computed, not measured: crystalline LiAgF4 at its relaxed geometry at the PBE level of DFT.

Cell lengths 7.8135, 5.2161, 7.7900 Å; angles 90.00, 102.59, 90.00 degrees
Space group P2_1/c (No. 14)
Symmetry-distinct sites (fractional):
Li: 0.1447 0.2451 0.3294 [4 per cell]
Ag: 0.3114 0.7452 0.1757 [4 per cell]
F: 0.0780 0.5734 0.6937 [4 per cell]
F: 0.1901 0.0878 0.5749 [4 per cell]
F: 0.3041 0.5783 0.4255 [4 per cell]
F: 0.4440 0.0587 0.3004 [4 per cell]

Output
The calculated formation energy is -185.2 kJ per mole of atoms.

[2]
Computed, not measured: crystalline SmB4Os4 at its relaxed geometry at the PBE level of DFT.

Cell lengths 7.5944, 7.5944, 4.0188 Å; angles 90.00, 90.00, 90.00 degrees
Space group P4_2/n (No. 86, origin choice 2)
Symmetry-distinct sites (fractional):
Sm: 0.2500 0.2500 0.2500 [2 per cell]
B: 0.0329 0.5850 0.1379 [8 per cell]
Os: 0.1040 0.8571 0.1369 [8 per cell]

Output
The calculated formation energy is -37.2 kJ per mole of atoms.

[3]
Computed, not measured: crystalline Gd2ZnGa at its relaxed geometry at the PBE level of DFT.

Cell lengths 7.2392, 7.2392, 7.2392 Å; angles 90.00, 90.00, 90.00 degrees
Space group Fm-3m (No. 225)
Symmetry-distinct sites (fractional):
Gd: 0.2500 0.2500 0.2500 [8 per cell]
Zn: 0.0000 0.0000 0.0000 [4 per cell]
Ga: 0.0000 0.0000 0.5000 [4 per cell]

Output
The calculated formation energy is -48.2 kJ per mole of atoms.

[4]
Computed, not measured: crystalline LiInSe2 at its relaxed geometry at the PBE level of DFT.

Cell lengths 6.0388, 6.0388, 11.9501 Å; angles 90.00, 90.00, 90.00 degrees
Space group I-42d (No. 122)
Symmetry-distinct sites (fractional):
Li: 0.0000 0.0000 0.0000 [4 per cell]
In: 0.0000 0.0000 0.5000 [4 per cell]
Se: 0.2427 0.7500 0.1250 [8 per cell]

Output
The calculated formation energy is -106.8 kJ per mole of atoms. The calculation puts the largest piezoelectric modulus at 0.1 C/m².

[5]
Computed, not measured: crystalline SmSi2Ru3 at its relaxed geometry at the PBE level of DFT.

Cell lengths 5.6191, 5.6191, 3.6178 Å; angles 90.00, 90.00, 120.00 degrees
Space group P6/mmm (No. 191)
Symmetry-distinct sites (fractional):
Sm: 0.0000 0.0000 0.0000 [1 per cell]
Si: 0.3333 0.6667 0.0000 [2 per cell]